Contents >
- - -
# V2CdP2O10
Theoretical powder diffractogram, Cu Kα (weighted mean of Kα1 and Kα2). Input: a structure optimized by DFT (PBE+U).
Intensities are scaled so that the largest is 100.

Peak list (8 most intense, 10 to 90 degrees two-theta, by angle)
2θ = 21.9°, rel. 62
2θ = 26.7°, rel. 83
2θ = 29.0°, rel. 64
2θ = 31.1°, rel. 100
2θ = 36.6°, rel. 64
2θ = 41.3°, rel. 46
2θ = 47.4°, rel. 34
2θ = 52.7°, rel. 33

Structure:
a = 8.901 Å, b = 6.839 Å, c = 9.977 Å
α = 60.56°, β = 42.00°, γ = 77.44°
Element x y z (fractional)
V 0.005 0.995 0.235
V 0.015 0.485 0.245
V 0.485 0.015 0.255
V 0.995 0.005 0.765
Cd 0.388 0.388 0.612
Cd 0.638 0.638 0.862
P 0.176 0.592 0.408
P 0.426 0.842 0.658
P 0.592 0.176 0.824
P 0.842 0.426 0.074
O 0.028 0.280 0.001
O 0.049 0.215 0.282
O 0.079 0.356 0.620
O 0.215 0.049 0.453
O 0.249 0.560 0.222
O 0.280 0.028 0.690
O 0.305 0.630 0.894
O 0.356 0.079 0.945
O 0.388 0.723 0.305
O 0.453 0.772 0.514
O 0.560 0.249 0.970
O 0.630 0.305 0.171
O 0.666 0.945 0.527
O 0.723 0.388 0.584
O 0.736 0.989 0.797
O 0.772 0.453 0.261
O 0.797 0.968 0.035
O 0.945 0.666 0.862
O 0.968 0.797 0.201
O 0.989 0.736 0.478

~~~~~

# 1
Structure and calculated PXRD pattern of Pm12Nd2Sm5 (the PBE geometry in Alexandria; Cu Ka).
Intensities are scaled so that the largest is 100.

a = 9.601 Å, b = 9.601 Å, c = 11.488 Å
α = 126.73°, β = 126.73°, γ = 64.46°
Positions (direct):
Pm: 0.050 0.550 0.401
Pm: 0.097 0.097 0.298
Pm: 0.147 0.649 0.197
Pm: 0.351 0.853 0.803
Pm: 0.397 0.397 0.700
Pm: 0.450 0.950 0.599
Pm: 0.550 0.050 0.401
Pm: 0.603 0.603 0.300
Pm: 0.649 0.147 0.197
Pm: 0.853 0.351 0.803
Pm: 0.903 0.903 0.702
Pm: 0.950 0.450 0.599
Nd: 0.250 0.750 0.000
Nd: 0.750 0.250 0.000
Sm: 0.000 0.000 0.500
Sm: 0.198 0.198 0.095
Sm: 0.299 0.299 0.897
Sm: 0.701 0.701 0.103
Sm: 0.802 0.802 0.905

Peak list (10 most intense, 2θ from 10° to 90°, by angle)
d = 2.963 Å, intensity 100; d = 2.569 Å, intensity 34; d = 2.560 Å, intensity 17; d = 1.814 Å, intensity 36; d = 1.549 Å, intensity 29; d = 1.545 Å, intensity 14; d = 1.481 Å, intensity 12; d = 1.178 Å, intensity 6; d = 1.177 Å, intensity 12; d = 1.148 Å, intensity 11


# 2
Structure and calculated PXRD pattern of Pm5Nd2Sm4 (the PBE geometry in Alexandria; Cu Ka).
Intensities are scaled so that the largest is 100.

a = 7.104 Å, b = 7.104 Å, c = 10.839 Å
α = 119.77°, β = 119.77°, γ = 58.70°
Positions (direct):
Pm: 0.000 0.000 0.000
Pm: 0.226 0.767 0.332
Pm: 0.233 0.774 0.668
Pm: 0.767 0.226 0.332
Pm: 0.774 0.233 0.668
Nd: 0.276 0.276 0.679
Nd: 0.724 0.724 0.321
Sm: 0.279 0.279 0.350
Sm: 0.307 0.307 0.008
Sm: 0.693 0.693 0.992
Sm: 0.721 0.721 0.650

Peak list (10 most intense, 2θ from 10° to 90°, by angle)
d = 3.482 Å, intensity 23; d = 3.048 Å, intensity 69; d = 2.970 Å, intensity 84; d = 2.923 Å, intensity 63; d = 2.873 Å, intensity 100; d = 2.544 Å, intensity 35; d = 2.507 Å, intensity 75; d = 1.796 Å, intensity 21; d = 1.741 Å, intensity 33; d = 1.502 Å, intensity 20


# 3
Structure and calculated PXRD pattern of Pm3NdSm2 (the PBE geometry in Alexandria; Cu Ka).
Intensities are scaled so that the largest is 100.

a = 7.729 Å, b = 7.729 Å, c = 6.826 Å
α = 90.00°, β = 90.00°, γ = 90.06°
Positions (direct):
Pm: 0.097 0.903 0.750
Pm: 0.250 0.250 0.000
Pm: 0.250 0.250 0.500
Pm: 0.750 0.750 0.000
Pm: 0.750 0.750 0.500
Pm: 0.903 0.097 0.250
- - -

To do >
The reader should filter the notes above: keep the lines with the word "two-theta".

Outcome >
Peak list (8 most intense, 10 to 90 degrees two-theta, by angle)